**Entries**
........
Compound: U2Cl2O
Source: the Materials Project database
Functional: PBE
Structure: optimized geometry

ΔE_f, eV per formula unit: -5.36
Total energy, eV per atom: -7.180

a b c (Å): 3.3694 3.3694 12.3957
angles (deg): 90.00 90.00 90.00
With the nearest neighbours (Å) after each atom.
Space group P4/mmm (No. 123)
Asymmetric unit:
U: 0.0000 0.0000 0.1661  1 O 2.06
Cl: 0.0000 0.0000 0.3648  1 U 2.46
O: 0.0000 0.0000 0.0000  2 U 2.06



Compound: Y3Cl2O6
Source: the Materials Project database
Functional: PBE
Structure: optimized geometry

ΔE_f, eV per formula unit: -25.42
Total energy, eV per atom: -6.735

a b c (Å): 3.9438 13.7784 7.5364
angles (deg): 90.00 90.00 90.00
With the nearest neighbours (Å) after each atom.
Space group Pmmn (No. 59, origin choice 2)
Asymmetric unit:
Y: 0.2500 0.1034 0.0838  7 O 2.28-2.39
Y: 0.2500 0.7500 0.5947  4 O 2.33-2.36
Cl: 0.2500 0.1325 0.5782  2 Y 2.86, 2 O 3.06-3.15
O: 0.2500 0.2500 0.2333  1 O 2.23, 4 Y 2.31-2.36
O: 0.2500 0.2500 0.9375  1 O 2.23, 2 Y 2.30
O: 0.2500 0.5693 0.0551  3 Y 2.28-2.39, 1 O 2.32
O: 0.2500 0.6058 0.7551  3 Y 2.32-2.33, 1 O 2.32



Compound: Y2Cl2O
Source: the Materials Project database
Functional: PBE
Structure: optimized geometry

ΔE_f, eV per formula unit: -7.46
Total energy, eV per atom: -5.670

a b c (Å): 4.1845 4.1845 12.7145
angles (deg): 90.00 90.00 90.00
With the nearest neighbours (Å) after each atom.
Space group P4/mmm (No. 123)
Asymmetric unit:
Y: 0.0000 0.0000 0.1625  1 O 2.07
Cl: 0.0000 0.0000 0.3561  1 Y 2.46
O: 0.0000 0.0000 0.0000  2 Y 2.07



Compound: ZnClO
Source: the Materials Project database
Functional: PBE
Structure: optimized geometry

ΔE_f, eV per formula unit: -2.69
Total energy, eV per atom: -3.354

a b c (Å): 5.6679 11.4287 6.5695
angles (deg): 90.00 90.00 90.00
With the nearest neighbours (Å) after each atom.
Space group Pbca (No. 61)
Asymmetric unit:
Zn: 0.2384 0.0071 0.1250  3 O 2.00-2.01
Cl: 0.0428 0.1481 0.4155  2 Zn 2.38-2.57
O: 0.0894 0.0599 0.8637  3 Zn 2.00-2.01


Entry from Materials Project: a geometry-optimized Ti2ReIr structure (GGA-PBE).

## Properties
Calculated formation energy (eV/atom): -0.76
Uncorrected energy (eV/cell): -160.444
Space group: Fm-3m, No. 225

```
Ti2ReIr
1.0
6.2235 0.0000 0.0000
0.0000 6.2235 0.0000
0.0000 0.0000 6.2235
Ti Re Ir
8 4 4
Cartesian
1.5559 1.5559 1.5559 Ti
1.5559 1.5559 4.6677 Ti
1.5559 4.6677 1.5559 Ti
1.5559 4.6677 4.6677 Ti
4.6677 1.5559 1.5559 Ti
4.6677 1.5559 4.6677 Ti
4.6677 4.6677 1.5559 Ti
4.6677 4.6677 4.6677 Ti
0.0000 0.0000 0.0000 Re
0.0000 3.1118 3.1118 Re
3.1118 0.0000 3.1118 Re
3.1118 3.1118 0.0000 Re
0.0000 0.0000 3.1118 Ir
0.0000 3.1118 0.0000 Ir
3.1118 0.0000 0.0000 Ir
3.1118 3.1118 3.1118 Ir
```
........

**Assignment**
What is needed: transcribe all of the notes further up without altering anything.

**Result**
Compound: U2Cl2O
Source: the Materials Project database
Functional: PBE
Structure: optimized geometry

ΔE_f, eV per formula unit: -5.36
Total energy, eV per atom: -7.180

a b c (Å): 3.3694 3.3694 12.3957
angles (deg): 90.00 90.00 90.00
With the nearest neighbours (Å) after each atom.
Space group P4/mmm (No. 123)
Asymmetric unit:
U: 0.0000 0.0000 0.1661  1 O 2.06
Cl: 0.0000 0.0000 0.3648  1 U 2.46
O: 0.0000 0.0000 0.0000  2 U 2.06



Compound: Y3Cl2O6
Source: the Materials Project database
Functional: PBE
Structure: optimized geometry

ΔE_f, eV per formula unit: -25.42
Total energy, eV per atom: -6.735

a b c (Å): 3.9438 13.7784 7.5364
angles (deg): 90.00 90.00 90.00
With the nearest neighbours (Å) after each atom.
Space group Pmmn (No. 59, origin choice 2)
Asymmetric unit:
Y: 0.2500 0.1034 0.0838  7 O 2.28-2.39
Y: 0.2500 0.7500 0.5947  4 O 2.33-2.36
Cl: 0.2500 0.1325 0.5782  2 Y 2.86, 2 O 3.06-3.15
O: 0.2500 0.2500 0.2333  1 O 2.23, 4 Y 2.31-2.36
O: 0.2500 0.2500 0.9375  1 O 2.23, 2 Y 2.30
O: 0.2500 0.5693 0.0551  3 Y 2.28-2.39, 1 O 2.32
O: 0.2500 0.6058 0.7551  3 Y 2.32-2.33, 1 O 2.32



Compound: Y2Cl2O
Source: the Materials Project database
Functional: PBE
Structure: optimized geometry

ΔE_f, eV per formula unit: -7.46
Total energy, eV per atom: -5.670

a b c (Å): 4.1845 4.1845 12.7145
angles (deg): 90.00 90.00 90.00
With the nearest neighbours (Å) after each atom.
Space group P4/mmm (No. 123)
Asymmetric unit:
Y: 0.0000 0.0000 0.1625  1 O 2.07
Cl: 0.0000 0.0000 0.3561  1 Y 2.46
O: 0.0000 0.0000 0.0000  2 Y 2.07



Compound: ZnClO
Source: the Materials Project database
Functional: PBE
Structure: optimized geometry

ΔE_f, eV per formula unit: -2.69
Total energy, eV per atom: -3.354

a b c (Å): 5.6679 11.4287 6.5695
angles (deg): 90.00 90.00 90.00
With the nearest neighbours (Å) after each atom.
Space group Pbca (No. 61)
Asymmetric unit:
Zn: 0.2384 0.0071 0.1250  3 O 2.00-2.01
Cl: 0.0428 0.1481 0.4155  2 Zn 2.38-2.57
O: 0.0894 0.0599 0.8637  3 Zn 2.00-2.01


Entry from Materials Project: a geometry-optimized Ti2ReIr structure (GGA-PBE).

## Properties
Calculated formation energy (eV/atom): -0.76
Uncorrected energy (eV/cell): -160.444
Space group: Fm-3m, No. 225

```
Ti2ReIr
1.0
6.2235 0.0000 0.0000
0.0000 6.2235 0.0000
0.0000 0.0000 6.2235
Ti Re Ir
8 4 4
Cartesian
1.5559 1.5559 1.5559 Ti
1.5559 1.5559 4.6677 Ti
1.5559 4.6677 1.5559 Ti
1.5559 4.6677 4.6677 Ti
4.6677 1.5559 1.5559 Ti
4.6677 1.5559 4.6677 Ti
4.6677 4.6677 1.5559 Ti
4.6677 4.6677 4.6677 Ti
0.0000 0.0000 0.0000 Re
0.0000 3.1118 3.1118 Re
3.1118 0.0000 3.1118 Re
3.1118 3.1118 0.0000 Re
0.0000 0.0000 3.1118 Ir
0.0000 3.1118 0.0000 Ir
3.1118 0.0000 0.0000 Ir
3.1118 3.1118 3.1118 Ir
```